_Exercise_
The reader should search the lines further down for the word "ReP2Br" and retype each line that has it.

_Given_
VASP calculation (PBE) on a relaxed BaSc2CF crystal.

Summary:
Space group: No. 123
D(E_F) in states/eV/atom: 0.45
Formation energy from raw total energies in meV per atom: -710.4
Volume in A^3/atom: 26.35

a b c (Å): 4.330 7.026 4.330
angles (deg): 90.00 90.00 90.00
Site moments in Bohr magnetons follow the coordinates.
Sites, in units of the cell vectors:
F 0.500 0.500 0.500  0.03
C 0.000 0.000 0.000  -0.03
Sc 0.500 0.000 0.000  0.16
Sc 0.000 0.000 0.500  0.24
Ba 0.000 0.500 0.000  0.06

***

VASP calculation (PBE) on a relaxed InRhN2 crystal.

Summary:
Space group: No. 166
D(E_F) in states/eV/atom: 0.40
Formation energy from raw total energies in meV per atom: 774.5
Volume in A^3/atom: 14.54

a b c (Å): 6.486 6.486 6.486
angles (deg): 29.39 29.39 29.39
Sites, in units of the cell vectors:
N 0.900 0.900 0.900
N 0.100 0.100 0.100
Rh 0.000 0.000 0.000
In 0.500 0.500 0.500

***

VASP calculation (PBE) on a relaxed Ti7Sb2H2Se crystal.

Summary:
Total DFT energy (no corrections) in eV for the cell shown: -79.5
Space group: No. 139
D(E_F) in states/eV/atom: 0.53
Volume in A^3/atom: 14.93

a b c (Å): 4.005 4.005 11.521
angles (deg): 79.97 79.97 89.99
Sites, in units of the cell vectors:
Ti 0.305 0.305 0.389
Ti 0.089 0.590 0.821
Ti 0.590 0.089 0.821
Ti 0.410 0.911 0.179
Ti 0.911 0.410 0.179
Ti 0.500 0.500 0.000
Ti 0.695 0.695 0.611
Se 0.000 0.000 0.000
Sb 0.181 0.181 0.639
Sb 0.819 0.819 0.361
H 0.591 0.591 0.819
H 0.409 0.409 0.181

***

VASP calculation (PBE) on a relaxed CeNdDyY crystal.

Summary:
Space group: No. 216
D(E_F) in states/eV/atom: 2.63
Formation energy in meV per atom: 167
Volume in A^3/atom: 32.93

a b c (Å): 5.711 5.711 5.711
angles (deg): 60.00 60.00 60.00
Site moments in Bohr magnetons follow the coordinates.
Sites, in units of the cell vectors:
Nd 0.000 0.000 0.000  0.01
Ce 0.500 0.500 0.500  0.68
Dy 0.250 0.250 0.250  0.03
Y 0.750 0.750 0.750  0.02

***

VASP calculation (PBE) on a relaxed Pr6NdTm crystal.

Summary:
Space group: No. 123
D(E_F) in states/eV/atom: 1.74
Formation energy in meV per atom: 15
Volume in A^3/atom: 35.26

a b c (Å): 5.206 5.206 10.410
angles (deg): 90.00 90.00 90.00
Sites, in units of the cell vectors:
Pr 0.500 0.000 0.253
Pr 0.500 0.500 0.500
Pr 0.500 0.500 0.000
Pr 0.000 0.500 0.253
Pr 0.000 0.500 0.747
Pr 0.500 0.000 0.747
Tm 0.000 0.000 0.500
Nd 0.000 0.000 0.000

***

VASP calculation (PBE) on a relaxed ReP2Br crystal.

Summary:
Space group: No. 8
Offset from the most stable computed form in meV per atom: 0
D(E_F) in states/eV/atom: 0.62
Formation energy from raw total energies in meV per atom: 29.4
Volume in A^3/atom: 21.36

a b c (Å): 4.407 4.407 6.672
angles (deg): 107.06 107.06 44.03
Sites, in units of the cell vectors:
P 0.991 0.991 0.929
P 0.725 0.725 0.655
Re 0.435 0.435 0.660
Br 0.349 0.349 0.256

***

VASP calculation (PBE) on a relaxed Bi2Se2Cl7 crystal.

Summary:
Space group: No. 85
Formation energy from raw total energies in meV per atom: -728.7
Volume in A^3/atom: 29.77

a b c (Å): 11.037 11.037 10.752
angles (deg): 90.00 90.00 90.00
Site moments in Bohr magnetons follow the coordinates.
Sites, in units of the cell vectors:
Cl 0.500 0.000 0.646  0.16
Cl 0.301 0.884 0.441  0.01
Cl 0.000 0.000 0.500  0.00
Cl 0.384 0.199 0.441  0.01
Cl 0.127 0.248 0.224  0.01
Cl 0.091 0.144 0.842  0.00
Cl 0.591 0.644 0.158  0.00
Cl 0.644 0.409 0.842  0.00
Cl 0.373 0.252 0.776  0.01
Cl 0.627 0.748 0.776  0.01
Cl 0.616 0.801 0.441  0.01
Cl 0.873 0.752 0.224  0.01
Cl 0.500 0.500 0.500  0.00
Cl 0.356 0.591 0.842  0.00
Cl 0.699 0.116 0.441  0.01
Cl 0.909 0.856 0.842  0.00
Cl 0.252 0.627 0.224  0.01
Cl 0.116 0.301 0.559  0.01
Cl 0.748 0.373 0.224  0.01
Cl 0.884 0.699 0.559  0.01
Cl 0.144 0.909 0.158  0.00
Cl 0.801 0.384 0.559  0.01
Cl 0.248 0.873 0.776  0.01
Cl 0.752 0.127 0.776  0.01
Cl 0.199 0.616 0.559  0.01
Cl 0.000 0.500 0.354  0.16
Cl 0.856 0.091 0.158  0.00
Cl 0.409 0.356 0.158  0.00
Se 0.622 0.912 0.123  0.00
Se 0.878 0.588 0.877  0.00
Se 0.122 0.412 0.877  0.00

_Completed_
VASP calculation (PBE) on a relaxed ReP2Br crystal.